State of AAC 2024
13 Feb 2024
Summary highlights from the world of AAC over the last year
A lot can happen in a year! From the presentations to the app features to the latest updates... sometimes it's hard to keep track of all the things going on around AAC. That's why we're collecting and presenting an annual summary called the State of AAC!
The State of AAC is a mix of looking backward and forward, reviewing what's happened, and trying to catch of glimpse of where things might be going. It's compiled from multiple sources, including participation from AAC users, families and specialists around the country and around the world. Scroll your way down to see what there still is to learn in the world of AAC!
Pop Culture
We should probably preface all of this by warning that just because something makes the year-in-AAC cut doesn't mean it's got any official sort of seal of approval, just that it counts as AAC representation. I mean, we do have our limits (you'll have to find the Matt Rife Marlena clip yourself, sorry), but our goal is to provide a broad view to help everyone see what they may have missed rather than to do too strict a curation. Although if you want to make sure and stay on the safe side, there's always 2022's Bluey episode where Bingo uses an ad-hoc communication device that you can fall back on.
Top of the list is probably when the latest season of The Mandalorian finally got back to what we all liked it for in the first place -- Baby Yoda (Grogu) adorably annoying that guy in the metal helmet.
The little champ managed his first vocalizations via droid suit, though I think it's clear he had a lot more he'd be capable of expressing than just yes/no. Brandon Sanderson also included a deaf character with a writing tablet in his new Princess-Bride-esque book, Tress of the Emerald Sea, with a swing at garnering sympathy for anyone whose speech device ever broke unexpectedly, and the new musical How to Dance in Ohio with its autistic acting cast offered some stage time to a part-time AAC user with a phone as their device.
Beyond that, Ahren Belisle competed on America's Got Talent with his "Silent But Deadly" stand-up routines, Tiffany Hammond's new book A Day With No Words was released, and Jordyn Zimmerman continues to draw headlines for her education advocacy efforts. Not bad for AAC representation for 2023! Here's to hoping 2024 ends up with even more AAC representation (we're looking at you, Disney+).
In Memoriam
Karen Owens of We Speak PODD - "Karen's fighting spirit knew no bounds. She had an incredible heart and passion for children with special needs, especially those without a voice. Her passion led her to create 'We Speak PODD', an organization empowering families to help their children communicate. Through this remarkable initiative, Karen touched the lives of many families, who often feel unsupported and overlooked, by providing them with the tools and support they needed."
Additional tributes are listed on the ISAAC web site, including
Leila Nunes, Rosemary Crossley, Judith Heumann, and David Yoder. We also wish to pay tribute to individuals who used AAC either part- or full-time, who passed away in 2023, and hope their determination and effort to assert their identities can continue to inspire others to follow suit.
AAC Systems
When it comes to something as important as communication, it's good to have options! Fortunately, there haven't been a lot of systems drop out of existence over the last year, which can trigger a difficult transition for some. Here are the most common AAC systems mentioned by our survey responses, listed in order of frequency.
TD Snap
Our survey also asked which AAC systems people considered the most *impactful*, and we got the following responses.
TD Snap
Weave Chat
TD Communicator
How Do You Say
Sometimes we forget that there's apps, and then there's vocabularies -- and the two don't always directly intersect. Some apps support multiple vocabularies, and some vocabularies are offered on multiple systems, and out hope here at OpenAAC is to see more sharing and reuse over time, so it's also good to think specifically about which vocabularies are getting the most play right now, and figure out what they might be doing right. Check out any vocabularies you may not be familiar with from the list below!
Nancy Inman’s popular sequenced vocabulary is available on many apps
Words For Life
A motor-planning update to Unity is a popular 84-button vocabulary
Crescendo Evolution
Proloquo’s new vocabulary for a new app, and training tools to go with it
Proloquo2Go Crescendo
An updated vocabulary to keep the original app up with the times
TD Snap Motor Plan
TD Snap’s app has gained more fans since getting this new vocabulary
The original combination-based vocabulary is still used often
Quick Core
Open-licensed motor-planning layout in multiple grid sizes
Often printed out, some digital versions are also gaining traction
An adaptive core-plus-categories vocabulary in 30 and 50-button sizes
Vocal Flair
Open-licensed, familiar sequenced vocabulary in multiple grid sizes
Project Core
Open-licensed 36-button core vocabulary meant as an easy starting place
Many vocabularies are also offered in more than one grid size. Here's the most common grid sizes reported by our survey respondents. 60-buttons was by far the most commong grid size, with 84-buttons coming in second. While there can be important reasons to start with a smaller grid size, it's important to remember the inherent limitations that come with them.
Up and Coming
It's not always easy to keep up on where things are headed, but here are some of the topics and apps that bubbled up to the surface in the last year.
First, the apps and new vocabularies that people are discovering:
Avaz’s new expressive voices were a consistent callout this year
The combo of Proloquo and a parent coaching app is a welcome addition
CoughDrop continued to expand its reach under new ownership at Forbes
Weave Chat
A new, fully free AAC app created by an SLP released last year
ACE Centre continues to release new access methods for AAC
TD Snap Motor Plan
The app’s new motor-planning vocabulary is proving popular
When it comes to things other than apps, there have also been some notable topics come up recently. Gestalt Language Processing is a popular topic, with differring opinions about degrees of adoption, and AAC vendors still looking for the best way to incorporate the concept. Playground AAC boards continue to grow in popularity as an additional communication tool in a setting that can be hard on many personal AAC systems.
The growth of AI has also begun making its way into the world of AAC, with hopes of personalized or natural-sounding word/phrase suggestions, and more robust language models. Literacy efforts continue to grow for AAC users, who historically have received less literacy instruction than their peers, and multi-language support is becoming a more-frequent ask for AAC app and vocabulary developers. There also continues to be a push across the AAC community to adopt more neurodiverse-friendly approaches to AAC instruction and implementation.
On top of all that, we asked people what "crazy" ideas they had for the future of AAC. Here are some of the most interesting topics and ideas submitted: Tactile keyboards, predictive inflections, synthesized voices with emotions, see-through screens, waterproof AAC, free-for-all AAC, coaching model to replace evaluations, cheaper flexible mounting, gaming to learn AAC, wearable AAC, scribble a sketch and AI makes it into a symbol, brain thoughts directly to words.
Who's Who
We can't all be as big as, say, Taylor Swift, but we do have our own Style of celebrities here in the world of AAC, gaining a Reputation for themselves, both during the school year and the Cruel Summer between. They know that AAC learning can be Delicate, but these folks are Fearless in doing their part to advocate, teach, train and share, with great ideas of how to Shake it Off and get Out of the Woods of complacency, all in the name of helping AAC users grow for themselves without any Bad Blood. AAC community at large is better for their part in it!
First, we have to mention the presenters of USSAAC's Speaker Connection. These are all AAC users, who offer their paid services to present at schools, conferences, seminars, etc. to help spread awareness and ensure that AAC representation comes from AAC users themselves, not just teachers and therapists.
The following people also received a significant number of mentions by our survey respondents.
Rachel Madel
Co-host of Talking With Tech, onine content author and great presenter
Lauren Enders Gonzales
Compelling trainer of AAC strategies and leveraging online tools
Kate Ahern
A constant advocate for AAC-using learners and their independence
Chris Bugaj
[Data records, kept here for reference]
# 1
Computed, not measured: the ion C5H4N with charge +1, with ωB97M-V with the def2-TZVPD basis set.

Geometry as ORCA input:
```
! wB97M-V def2-TZVPD RIJCOSX def2/J DEFGRID3
* xyz 1 1
C 3.477 0.408 0.737
C 2.221 0.125 0.462
C -0.185 0.498 -1.484
C -0.099 0.083 -0.283
C -1.309 -0.484 0.503
N 1.038 0.212 0.471
H -0.426 0.501 -2.458
H -0.872 -0.667 1.484
H -1.907 -1.177 -0.065
H -1.938 0.501 0.634
*
```

The energy above the lowest of the compared OMol25 structures with the same formula, charge and spin comes out at 149.4 kcal/mol. The calculation puts the largest force on an atom at 4.052 eV/Å.

=====

# 2
Computed, not measured: the molecule C5H4N2, with ωB97M-V with the def2-TZVPD basis set.

Geometry as ORCA input:
```
! wB97M-V def2-TZVPD RIJCOSX def2/J DEFGRID3
* xyz 0 1
C -1.561 -2.334 -0.407
C -1.057 -1.300 -0.037
C -0.253 -0.177 0.220
C 1.067 -0.205 0.730
N 1.648 0.975 0.624
N 0.720 1.752 0.038
C -0.430 1.110 -0.238
H -1.398 -3.044 -1.175
H 1.594 -1.062 1.131
H 0.934 2.720 -0.131
H -1.264 1.565 -0.754
*
```

Its structure (SMILES) is C#Cc1cn[nH]c1. The energy above the lowest of the compared OMol25 structures with the same formula, charge and spin comes out at 54.4 kcal/mol. The calculation puts the largest force on an atom at 1.125 eV/Å.

=====

# 3
Computed, not measured: the molecule C5H4N2, with ωB97M-V with the def2-TZVPD basis set.

Geometry as ORCA input:
```
! wB97M-V def2-TZVPD RIJCOSX def2/J DEFGRID3
* xyz 0 1
C -0.153 0.790 -0.902
C 0.007 -0.615 -1.027
C -0.558 1.261 0.395
C 0.053 -1.169 0.347
C -0.612 0.164 1.174
N -1.169 -0.957 0.951
N 0.983 -1.130 1.208
H 0.057 1.606 -1.682
H -0.067 -0.935 -2.061
H -0.413 2.167 0.821
H 1.871 -1.182 0.777
*
```

The energy above the lowest of the compared OMol25 structures with the same formula, charge and spin comes out at 148.4 kcal/mol. The calculation puts the largest force on an atom at 4.256 eV/Å.

=====

# 4
Computed, not measured: the molecule C5H4N2, with ωB97M-V with the def2-TZVPD basis set.

Geometry as ORCA input:
```
! wB97M-V def2-TZVPD RIJCOSX def2/J DEFGRID3
* xyz 0 1
C -1.855 -0.291 -1.698
C -1.474 -0.133 -0.559
C -0.655 -0.184 0.601
C 0.388 -0.909 -0.158
N 1.547 -0.337 -0.048
N 1.345 0.655 0.844
C 0.082 0.801 1.284
H -1.763 -0.408 -2.750
H 0.308 -1.773 -0.836
H 2.171 1.081 1.213
H -0.092 1.500 2.107
*
```

Its structure (SMILES) is C#Cc1cn[nH]c1. The energy above the lowest of the compared OMol25 structures with the same formula, charge and spin comes out at 96.4 kcal/mol. The calculation puts the largest force on an atom at 2.221 eV/Å.

~~~~~

Computed, not measured: the molecule CH2N2OS2, with ωB97M-V/def2-TZVPD.

Cartesian coordinates (Å):
C1 -0.19354 0.81982 0.54018
N1 -0.52193 -0.20604 -0.15624
N2 0.64452 -0.93726 -0.24064
O1 1.17081 0.99406 0.78514
S1 2.17131 -0.27653 0.49437
S2 3.68387 0.31682 -0.52357
H1 -0.94719 1.50052 0.89840
H2 0.58926 -1.68901 -0.81342

Forces on the atoms, in the same order (eV/Å):
0.0366 -0.9361 -1.1968
1.9223 0.9149 1.2979
[Here the entry continues]
Talking with Tech and ATTipsCast and publishing has got to keep Chris busy
Alyssa Zisk
Autistic part-time AAC user researches and presents regularly
Kelly Fonner
Experienced AAC consultant & trainer helps just about everywhere
Gail van Tatenhove
Influential presenter and trainer with deep AAC experience
Caroline Musselwhite
AAC advocate, content creator and trainer emphasizes literacy
Carole Zangari
Founded PrAACtical blog and continued online AAC supporter
Angela Moorad
Tracks most common AAC apps, reports on new features and how-tos
Additional people mentioned by our survey respondents: Abygail Marx, Aditi Sowmyanarayan, Kate Mclaughlin, Amanda Soper, Amy Donaldson, Anne Page, Beth Moulam, Bohospeechie, Brandon Eddy, Brian Whitmer, Christie Witt, David Beukelman, David McNaughton, Donnie Denome, Elisa Wern, Emily Diaz, endever* corbin, Gary Cumley, Hari Srinivasan, Jane Farrell, Jordyn Zimmerman, Judith Light, Karen Erickson, Kate Flaxman, Kathy Drager, Krista Howard, Lily Konan, Mai Ling Chan, Rachel Langley, Sarah Weber, Stephanie Valencia, Tiffany Hammond
A Site to Behold
It can be hard to know where to look for information on AAC! Here are some of the top-reported AAC sites and communities.
Talking with Tech
PrAACtical AAC
Stepping Into AAC
Project Core
Assistiveware Blog
Call Scotland
Omazing Kids
impAACt Voices
Ace Centre
AAC Institute
Communication Matters
Communication Workshop
AAC for the SLP |
Ask Me, I'm an AAC User |
AAC & Gestalt Language Processing |
AAC through Motivate Model Move Out of the Way |
The AAC Connection |
Hardcore AAC
Emily Diaz |
bohospeechie |
aac_inovations |
allaccesslife |
fidgets.and.fries |
beautifulspeechlife |
meaningful speech
Talking with Tech |
ATTipCast |
We Speak PODD Videos |
AAC in the Cloud
Comprehensive Literacy for All
Becoming an Exceptional AAC Leader
Square One
When you need a place to send folks who are just getting started in AAC, it's a good idea to check with others and see if anything new has cropped up that's worth sharing! Here are some of the most common suggestions from our survey respondents.
Stepping Into AAC
Project Core
Alt+Shift Education
Tech owl AAC essentials
AAC Acceptance
Respondents for our survey included AAC users, therapists, teachers, family members, and others in the AAC community. We wanted to try to get a general glimpse of how AAC is being received and treated, so we asked respondents the following questions.
Based on your experiences, how would you say most people receive or react to AAC users over the past year?

Based on your experiences, how would you say the people's perception of AAC users has changed over the past year?

Special Thanks
We had a lot of great insights provided as part of the State of AAC 2024 survey, and wanted to make sure and give a thank you to those who participated and requested recognition. Thanks you also to all the anonymous respondents for your help!
Scharnke AAC Library | Marta Pinto - Apela | Carla Nicholson | Will Wade, Ace Centre | Alexys Guerra | Terrie Logan | Sure, Michaela Ball | Loudoun County Public Schools | Jo Holmes - Mummy vs AAC and The AAC Connection | Cheri Dodge Chin, Super Power Speech | Alt+Shift | Lisa CanRaepenbusch, Aurora City Schools | Anne Page, Beautiful Speech Life | Candace Hayden | WIHD | Saskia Splane, TN AT Project | Trina Muich | Bridget Grenolds | Christine Baudin, M.S., CCC-SLP | Jonathan Lasko | Kauri Sue Hamilton School | Lakhotiyapi AAC | Beenleigh Special School | Brandi Wentland | A huge thank you so much who came before me
Thank You, Come Again!
We hope this State of AAC 2024 report has been useful for you. It was definitely fun and educational for us to put together! We know that the world of AAC will keep evolving, and our hope is that over time the expertise and perspectives that lead the way can spread more broadly and more uniformly, so everyone can benefit from the newest and greatest work happening different places throughout the world!
OpenAAC is a relatively new non-profit working to increase awareness, global access, and collaboration related to AAC. We plan to release this report annually, and we may have a few other tricks up our sleeves here in the next bit, so keep an eye out for additional news from us!
Help Us Grow!
OpenAAC needs donations like yours to expand our reach and continue to provide meaningful resources that will help everyone at every point on their AAC journey.